• Request:
Next, set down the whole of the listing below verbatim.
• Listing:
┌──
This record from the OMol25 dataset describes a structure of composition C32H22I2IrN6O3Se2 in a non-equilibrium geometry. The level of theory is the ωB97M-V functional and the def2-TZVPD basis.

The calculation puts the maximum force at 0.0681 hartree/bohr. Its multiplicity is 2. The frontier orbital gap (alpha / beta) comes out at 5.5 / 4.7 eV. As for the net charge: +2. As for the expectation value of S²: 0.782. As for the HOMO energy (alpha / beta): -12.2 / -12.2 eV. Its LUMO energy (alpha / beta) is -6.75 / -7.55 eV.

Each line ends with the Löwdin charge.
Element x y z (Å)
1 Ir 0.1929 0.3309 0.1956  1.42
2 Se 2.7679 2.8360 0.3934  0.72
3 Se 1.7514 2.7131 2.4528  0.77
4 C 2.0546 0.8287 2.7065  -0.68
5 C 2.6888 0.4494 3.9113  -0.04
6 C 3.2563 -0.8360 3.9978  -0.03
7 C 3.0267 -1.7240 3.0027  0.04
8 C 2.0092 -1.4026 1.9592  -0.26
9 N 1.7731 0.0090 1.7242  -0.09
10 C 1.2168 3.3519 -0.6076  -0.67
11 C 1.1215 4.6467 -1.0753  -0.07
12 C 0.0385 4.9847 -1.8780  -0.01
13 C -0.8702 4.0000 -2.2127  0.00
14 C -0.6987 2.7224 -1.7051  -0.08
15 N 0.3121 2.3965 -0.8889  -0.06
16 H 2.8226 1.1755 4.6994  0.12
17 H 3.9149 -1.0777 4.8208  0.13
18 H 3.4940 -2.6991 2.9722  0.14
19 H 1.0504 -1.8049 2.3066  0.17
20 H 1.8831 5.3696 -0.8215  0.11
21 H -0.0728 5.9967 -2.2434  0.13
22 H -1.7031 4.2083 -2.8684  0.13
23 H -1.3753 1.9244 -1.9694  0.08
24 I -3.8313 0.1583 -3.0576  0.99
25 C -3.8872 0.5022 -1.0026  -0.62
26 C -5.0845 0.7714 -0.3259  -0.19
27 C -5.0814 1.0599 1.0142  -0.65
28 I -6.8939 1.5448 1.9358  0.99
29 C -3.8616 1.0748 1.7308  -0.19
30 C -3.7320 1.3400 3.1099  0.00
31 C -2.4885 1.3560 3.6865  -0.01
32 C -1.3609 1.1248 2.8922  -0.12
33 N -1.4462 0.8771 1.6028  0.01
34 C -2.6675 0.8233 1.0179  -0.15
35 C -2.6678 0.5044 -0.3482  -0.44
36 O -1.5368 0.2665 -0.9636  -0.31
37 H -6.0186 0.7506 -0.8701  0.09
38 H -4.6179 1.5177 3.7045  0.08
39 H -2.3664 1.5564 4.7407  0.12
40 H -0.3740 1.1265 3.3322  0.07
41 O -0.8098 -3.7314 0.2760  0.16
42 C -0.0930 -2.7940 0.4954  -0.57
43 O -0.4244 -1.6089 0.8942  -0.14
44 C 1.4138 -2.9878 0.2161  -0.07
45 C 1.7994 -4.0098 -0.6436  0.05
46 C 3.1114 -4.1162 -1.0214  0.08
47 C 4.0173 -3.0824 -0.6988  -0.12
48 C 5.3414 -3.0570 -1.1930  0.01
49 C 6.1840 -2.0335 -0.8661  -0.03
50 C 5.7302 -0.9897 -0.0392  -0.01
51 C 4.4596 -0.9960 0.4790  0.00
52 C 3.5841 -2.0480 0.1635  -0.12
53 N 2.3060 -2.1230 0.6968  0.09
54 H 1.0419 -4.7237 -0.9352  0.14
55 H 3.4637 -4.9677 -1.5904  0.14
56 H 5.6611 -3.8568 -1.8482  0.13
57 H 7.1948 -2.0122 -1.2484  0.13
58 H 6.3859 -0.1622 0.1964  0.13
59 H 4.1251 -0.1695 1.0882  0.10
└──
• Here it is:
This record from the OMol25 dataset describes a structure of composition C32H22I2IrN6O3Se2 in a non-equilibrium geometry. The level of theory is the ωB97M-V functional and the def2-TZVPD basis.

The calculation puts the maximum force at 0.0681 hartree/bohr. Its multiplicity is 2. The frontier orbital gap (alpha / beta) comes out at 5.5 / 4.7 eV. As for the net charge: +2. As for the expectation value of S²: 0.782. As for the HOMO energy (alpha / beta): -12.2 / -12.2 eV. Its LUMO energy (alpha / beta) is -6.75 / -7.55 eV.

Each line ends with the Löwdin charge.
Element x y z (Å)
1 Ir 0.1929 0.3309 0.1956  1.42
2 Se 2.7679 2.8360 0.3934  0.72
3 Se 1.7514 2.7131 2.4528  0.77
4 C 2.0546 0.8287 2.7065  -0.68
5 C 2.6888 0.4494 3.9113  -0.04
6 C 3.2563 -0.8360 3.9978  -0.03
7 C 3.0267 -1.7240 3.0027  0.04
8 C 2.0092 -1.4026 1.9592  -0.26
9 N 1.7731 0.0090 1.7242  -0.09
10 C 1.2168 3.3519 -0.6076  -0.67
11 C 1.1215 4.6467 -1.0753  -0.07
12 C 0.0385 4.9847 -1.8780  -0.01
13 C -0.8702 4.0000 -2.2127  0.00
14 C -0.6987 2.7224 -1.7051  -0.08
15 N 0.3121 2.3965 -0.8889  -0.06
16 H 2.8226 1.1755 4.6994  0.12
17 H 3.9149 -1.0777 4.8208  0.13
18 H 3.4940 -2.6991 2.9722  0.14
19 H 1.0504 -1.8049 2.3066  0.17
20 H 1.8831 5.3696 -0.8215  0.11
21 H -0.0728 5.9967 -2.2434  0.13
22 H -1.7031 4.2083 -2.8684  0.13
23 H -1.3753 1.9244 -1.9694  0.08
24 I -3.8313 0.1583 -3.0576  0.99
25 C -3.8872 0.5022 -1.0026  -0.62
26 C -5.0845 0.7714 -0.3259  -0.19
27 C -5.0814 1.0599 1.0142  -0.65
28 I -6.8939 1.5448 1.9358  0.99
29 C -3.8616 1.0748 1.7308  -0.19
30 C -3.7320 1.3400 3.1099  0.00
31 C -2.4885 1.3560 3.6865  -0.01
32 C -1.3609 1.1248 2.8922  -0.12
33 N -1.4462 0.8771 1.6028  0.01
34 C -2.6675 0.8233 1.0179  -0.15
35 C -2.6678 0.5044 -0.3482  -0.44
36 O -1.5368 0.2665 -0.9636  -0.31
37 H -6.0186 0.7506 -0.8701  0.09
38 H -4.6179 1.5177 3.7045  0.08
39 H -2.3664 1.5564 4.7407  0.12
40 H -0.3740 1.1265 3.3322  0.07
41 O -0.8098 -3.7314 0.2760  0.16
42 C -0.0930 -2.7940 0.4954  -0.57
43 O -0.4244 -1.6089 0.8942  -0.14
44 C 1.4138 -2.9878 0.2161  -0.07
45 C 1.7994 -4.0098 -0.6436  0.05
46 C 3.1114 -4.1162 -1.0214  0.08
47 C 4.0173 -3.0824 -0.6988  -0.12
48 C 5.3414 -3.0570 -1.1930  0.01
49 C 6.1840 -2.0335 -0.8661  -0.03
50 C 5.7302 -0.9897 -0.0392  -0.01
51 C 4.4596 -0.9960 0.4790  0.00
52 C 3.5841 -2.0480 0.1635  -0.12
53 N 2.3060 -2.1230 0.6968  0.09
54 H 1.0419 -4.7237 -0.9352  0.14
55 H 3.4637 -4.9677 -1.5904  0.14
56 H 5.6611 -3.8568 -1.8482  0.13
57 H 7.1948 -2.0122 -1.2484  0.13
58 H 6.3859 -0.1622 0.1964  0.13
59 H 4.1251 -0.1695 1.0882  0.10